Correction, 6/3/2010 at 9 am: We misidentified James Rubin as a hedge fund manager in the original post; he is a private equity investor. We regret the error.
Remember that eighties shampoo commercial in which a luscious brunette purrs, "Don't hate me because I'm beautiful"?
Well, try not to hate Gretchen Rubin because she seems blessed with a perfect life: She has a to-die-for resume (she edited the Yale Law Journal and clerked for Sandra Day O’Connor). She found the love of her life as a 1-L in the Yale Law Library (that would be fellow law student Jamie Rubin, now a private equity investor and Gretchen's husband). Her father-in-law is rich and famous (remember Robert Rubin, the former Treasury secretary?).
Topping all this, Rubin's now written a best-selling, hyper-buzzed-about book, The Happiness Project (Or, Why I spent a Year Trying to Sing in the Morning, Clean My Closets, Fight Right, Read Aristotle, and Generally Have More Fun).
Just getting through the title is a chore. What’s covered in between the covers is even more daunting: Rubin packed her yearlong quest for greater happiness (she says she wasn’t unhappy) with countless resolutions and projects. Among her pursuits, she immersed herself in the study of St. Therese, started a children’s literature group, and renounced nagging and gossiping. (Real Housewives of Bravo, take note!)
So here's the big question: Can the average law firm drone relate to, and even benefit from, Rubin’s lofty quest? How can an associate break away to pursue a yearlong happiness project when she barely has time to refill her coffee cup?
"My favorite resolutions [for happiness] take no time, no energy," says Rubin matter-of-factly. Lawyers can start by paying more attention to those at home. "It can be touching more and hugging more," she says. Another no-time method to increase joy, she says, is to begin the day with singing. “It's just a step to create a calm, cheerful approach to the day," she explains.
What about lawyers with no one at home to hug, or those with no pitch? "If you take 20 minutes to clean your desk, it'll make a difference," she says, adding that the elimination of mess creates a sense of order and, hence, happiness. The point, she explains, is that small actions can have an impact.
You can't argue with her advice, though it's not terribly earth-shattering. Basically, it consists of the Golden Rules that your second-grade teacher beat into you: Be nice, sit up straight, eat your vegetables, and to thyself be true. (Rubin lists her own 12 "commandments," which include "Be Gretchen," "Be polite and be fair," and "Lighten up," and suggests that readers develop their own list.)
Some of the advice Rubin offers about achieving greater family harmony sounds like it came from an episode of The Berenstain Bears: "Jamie came up with a great one: Polite Night. He suggested that every Sunday night, we set the table properly, enforce good manners, and have a nice meal together."
The book is not scholarly like the law review articles that Rubin once penned--and that’s a compliment. It’s a breezy read. It's helpful and practical, like a magazine article on creative ways to use empty Cheerios boxes or sheets of Bounce. It's accessible and encouraging, which is probably why it’s become a best seller and spawned dozens of happiness groups throughout this country and beyond.
But will this type of how-to book pass muster with sharp, analytical legal minds? "I've been surprised by people who are stressed out who reacted positively to my book,” says Rubin. "I worry that what I talked about would seem trivial to them, but these little things [about achieving happiness] are reassuring."
Rubin definitely has lawyer fans. Even before her book came out, Wall Street Journal law blogger Ashby Jones, a lawyer himself, was smitten; he calls Rubin's happiness blog, "one of our flat-out favorites." A Yale Law School classmate of Rubin's calls her book "transformative." "Nearly every page offers another tip, large or (usually) small that might capture a reader's imagination," he says. "For me and my family, it was the seven-second hug. For someone else it might be clearing closet hangers." The book, he sums up, is "superficial but full of wisdom. . .It's the book that Gretchen was put on earth to write."
Wow.Even though there's something soothing about her advice, I am skeptical. Like Rubin, I have sought out a greater sense of order by trolling the aisles at the Container Store or delighting in the idea of an afternoon spent doing decoupage (though neither of us have finished). Who is to say that busy lawyers couldn't benefit from these ideas too?
Readers, have any of you heard about a lawyer happiness project? Tell us about it.
If you have topics you'd like to discuss, or information to share for The Careerist, e-mail chief blogger Vivia Chen at [email protected].
-- Materials data, as found in the file --
/*
For Ir2PtO8, a crystal structure in Alexandria, relaxed with GGA-PBE gives the computed PXRD pattern in this record (Cu Kα (weighted mean of Kα1 and Kα2)).

Cell and atoms:
```
Ir2PtO8
1.0
5.712 0.000 0.000
-2.856 4.947 0.000
0.000 0.000 7.045
Ir Pt O
2 1 8
Cartesian
0.000 3.298 1.987
2.856 1.649 5.058
0.000 0.000 0.000
0.000 1.589 1.357
-1.480 4.152 1.357
1.376 0.794 5.688
0.000 3.298 3.743
2.856 1.649 3.302
1.480 4.152 1.357
4.336 0.794 5.688
2.856 3.358 5.688
```

Largest 8 diffraction maxima, by angle, 5 to 70 degrees two-theta:
2theta  I (rel.)
21.96  100
31.17  28
31.32  37
38.58  14
44.78  15
50.31  10
50.51  22
55.69  19

***

For IrPtO4, a crystal structure in Alexandria, relaxed with GGA-PBE gives the computed PXRD pattern in this record (Cu Kα (weighted mean of Kα1 and Kα2)).

Cell and atoms:
```
IrPtO4
1.0
-3.235 3.235 3.210
3.235 -3.235 3.210
3.235 3.235 -3.210
Ir Pt O
2 2 8
Cartesian
0.000 0.000 0.000
0.000 3.235 1.605
3.235 0.000 1.621
0.000 0.000 3.226
3.235 1.224 -0.006
2.011 3.235 -1.611
1.224 0.000 1.599
0.000 1.975 0.030
0.000 4.495 0.030
1.975 3.235 1.635
1.260 0.000 4.845
0.000 2.011 3.204
```

Largest 8 diffraction maxima, by angle, 5 to 70 degrees two-theta:
2theta  I (rel.)
27.57  100
34.12  97
39.39  29
53.08  69
56.93  15
64.40  17
64.85  18
68.07  19

***

For Rb3Ir2O8, a crystal structure in Alexandria, relaxed with GGA-PBE gives the computed PXRD pattern in this record (Cu Kα (weighted mean of Kα1 and Kα2)).

Cell and atoms:
```
Rb3Ir2O8
1.0
3.146 1.816 7.636
-3.146 1.816 7.636
0.000 -3.633 7.636
Rb Ir O
3 2 8
Cartesian
0.000 0.000 0.000
0.000 0.000 4.605
0.000 0.000 18.305
0.000 0.000 9.274
0.000 0.000 13.635
-1.471 -0.849 12.989
0.000 -1.699 9.921
-1.471 0.849 9.921
0.000 0.000 7.473
0.000 0.000 15.436
1.471 -0.849 12.989
0.000 1.699 12.989
1.471 0.849 9.921
```

Largest 8 diffraction maxima, by angle, 5 to 70 degrees two-theta:
2theta  I (rel.)
16.72  30
25.40  100
28.37  86
38.44  41
42.82  27
48.46  33
50.23  18
60.44  21

***

For Rb3IrO6, a crystal structure in Alexandria, relaxed with GGA-PBE gives the computed PXRD pattern in this record (Cu Kα (weighted mean of Kα1 and Kα2)).

Cell and atoms:
```
Rb3IrO6
1.0
6.434 0.000 0.000
0.000 6.434 0.000
0.000 0.000 9.374
Rb Ir O
6 2 12
Cartesian
0.000 0.000 0.000
0.000 3.217 2.343
0.000 3.217 7.030
3.217 0.000 2.343
3.217 0.000 7.030
3.217 3.217 4.687
0.000 0.000 4.687
3.217 3.217 0.000
0.000 0.000 2.806
0.000 0.000 6.568
0.900 1.639 4.687
1.578 2.317 0.000
1.639 5.534 4.687
2.317 4.856 0.000
3.217 3.217 1.881
3.217 3.217 7.493
4.117 1.578 0.000
4.795 0.900 4.687
4.856 4.117 0.000
5.534 4.795 4.687
```

Largest 8 diffraction maxima, by angle, 5 to 70 degrees two-theta:
2theta  I (rel.)
16.71  33
27.32  100
27.73  54
38.41  16
39.62  26
48.03  22
48.80  42
56.37  16

***

For RbIr2O8, a crystal structure in Alexandria, relaxed with GGA-PBE gives the computed PXRD pattern in this record (Cu Kα (weighted mean of Kα1 and Kα2)).

Cell and atoms:
```
RbIr2O8
1.0
*/
Photo: Ruby Washington, The New York Times, courtesy of Gretchen Rubin
Money can't buy happiness...but it can sure enter into a long-term lease with it. I have a very nice and profitable little law firm. But its sure easier to search for "happiness" when you are not searching for a livelihood.
Posted by: Josh | December 29, 2011 at 01:13 PM
Why wouldn't she be happy? Her father was a former executive officer at Goldman Sachs. Her life is set. If she never makes a dime as a lawyer she will inherit and probably has already been gifted millions of dollars. What stress does she have to worry about? Connected and wealthy. Her life was set from the womb of her mother. How about sharing a story about somebody that works in the real world like most of us?
Posted by: Omaha Lawyer | February 10, 2011 at 08:55 PM
I've read The Happiness Project and enjoyed it very much. The legal industry is going through a great shift right now. So, the topics of personal and professional fulfillment, worklife balance, and happiness in and out of the office is getting more common each month. More and more people are focusing on their quality of life as a whole (not just their profession).
Lawyers can take the current employment situation as an opportunity to really create careers, businesses, and a life that they love. Too often, we do what we "should" want to do. We do this for so many years that we can forget what truly makes us happy.
Lawyers who are in transition right now or employed and not feeling any fulfillment from their work have the opportunity to really look inside at what it is that they value, what inspired them to go to law school from the start, and what skills they've obtained that can help them start their business or firm, get the job of their dreams, find more satisfaction in their current jobs, or transfer out altogether. The key is to identify your strengths and values, integrate them into your career goals, and take action- this assures happines and fulfillment.
Sonia Gallagher, Esq.
Helping lawyers create a career, business, & life they love.
Posted by: Sonia Gallagher | September 1, 2010 at 02:34 PM
We know her father-in-law Bob was happy cuddling with his sexy girlfriend in Miami.
Posted by: Bobby Cuddles | June 27, 2010 at 05:18 PM
There is a growing effort on the parts of some firms, corporate law departments, and major law schools to address the well-documented woes of the legal profession. Much of it is based in the work of Marty Seligman (UPenn) and positive psychology, and focuses on teaching lawyers resilience skills - following a model being used with the US Army - and strengths alignment (steering lawyers into roles suited for their personality types). I think these efforts (I am glad to share with anyone interested) are more serious and credible ways to get lawyers to take mental health seriously than hugging and singing.
Daniel S. Bowling, III
Duke Law School
[email protected]
Posted by: Daniel S.Bowling, III | June 14, 2010 at 08:45 AM